Manchester CRF conducts a wide array of early phase and experimental research studies at six dedicated facilities, based within NHS teaching hospitals across Greater Manchester.
Each CRF provides a dedicated space and a safe, quality-assured environment, for delivering studies and are staffed by qualified, registered Clinical Research Nurses, providing:
- Full bedside monitoring equipment for the investigator
- Point-of-care equipment
- Clinical bays
- Outpatient treatment chairs
- Consultation rooms
- A full emergency resuscitation service
Specialist equipment is available to support research studies undertaken in dedicated CRF sites such as cancer trials at Manchester CRF at The Christie, and respiratory studies at Manchester CRF at Wythenshawe Hospital.
Our Facilities
Manchester CRF at The Christie Hospital
The largest single-site comprehensive cancer centre in Europe, treating more than 60,000 patients annually. Home to our dedicated specialist oncology early phase research.
Facilities include:
- Outpatient, day-case and overnight ward areas, supporting patient recruitment, screening assessments and delivery of all phases of complex oncology studies including complex immunotherapy and Immune Effector Cell/CAR-T therapy.
- Access to additional specialist facilities including MR-Linac and Proton Beam Therapy (PBT).
Manchester CRF at Manchester Royal Infirmary (MRI)
The Manchester CRF at MRI supports adult and paediatric studies across a diverse range of clinical speciality areas, and provides a dedicated space and a safe, quality-assured environment, for delivering studies across all phases of research in patients of all ages – particularly Phase I and II complex and high-intensity clinical research studies.
Facilities include:
Quantum chemistry results, as found in the file:
The following is a quantum chemistry calculation of C64H51CdNO2P2S3 as an isolated structure, from the Open Molecules 2025 dataset.

The geometry in XYZ format:
```
124
Properties=species:S:1:pos:R:3:forces:R:3
Cd 0.609567 -0.471052 0.354473 -0.189 -0.398 -0.335
N 3.106909 -1.279475 0.309524 -0.166 0.425 0.176
C 3.912372 -0.465009 1.133603 0.093 0.034 0.013
C 5.136849 -0.027950 0.630286 0.020 -0.006 -0.043
C 5.960143 0.814345 1.358565 0.003 -0.007 0.029
C 5.562671 1.227445 2.619009 0.046 -0.073 0.029
C 4.349023 0.788353 3.123525 0.043 -0.116 -0.044
C 3.496328 -0.059159 2.411186 0.013 0.011 0.072
C 2.221295 -0.464727 3.084534 -0.056 -0.006 0.041
C 2.319475 -0.830200 4.432269 0.022 -0.012 -0.025
C 1.190091 -1.046026 5.206261 -0.018 0.003 -0.003
C -0.063679 -0.855000 4.644326 0.016 -0.012 0.067
C -0.163191 -0.537474 3.296558 0.073 -0.050 -0.003
C 0.957026 -0.383806 2.472841 0.120 0.078 0.223
H 3.600316 -1.628029 -0.496919 0.008 -0.151 -0.164
H 2.672702 -2.053447 0.792385 0.003 -0.194 0.125
H 5.453644 -0.381490 -0.347446 -0.020 0.007 0.030
H 6.910857 1.131032 0.947069 -0.027 -0.002 -0.009
H 6.189059 1.888450 3.206704 -0.036 -0.026 -0.027
H 4.029508 1.124546 4.101210 -0.010 0.004 -0.004
H 3.303653 -0.956063 4.871880 -0.042 0.021 0.014
H 1.288084 -1.348352 6.242486 0.016 0.029 -0.021
H -0.957622 -0.977951 5.245993 0.011 -0.013 -0.037
H -1.156864 -0.428375 2.875932 -0.047 -0.056 -0.027
C -4.394063 5.358108 0.432842 0.020 -0.015 -0.026
C -3.772845 4.636986 -0.777658 0.023 0.042 0.029
C -4.302076 5.260626 -2.081076 0.009 -0.039 0.021
C -4.154217 3.165542 -0.725102 0.036 0.067 0.010
C -5.482726 2.773362 -0.849017 -0.029 -0.051 -0.014
C -5.853505 1.440509 -0.799300 -0.092 -0.018 0.003
C -4.891878 0.463644 -0.596852 -0.027 0.015 0.024
C -3.560243 0.814625 -0.435060 0.340 0.217 0.251
P -2.225555 -0.428459 -0.157845 -0.281 -0.276 -0.274
C -2.956516 -1.534345 1.104725 0.110 -0.032 -0.022
C -3.984106 -1.176501 1.973765 0.059 0.014 0.023
C -4.356829 -2.037045 3.000205 -0.023 0.017 0.031
C -3.707708 -3.251013 3.170535 0.038 -0.037 0.003
C -2.675399 -3.609829 2.311882 -0.009 0.012 0.004
C -2.298815 -2.752772 1.291425 -0.067 0.012 -0.103
C -2.444257 -1.292720 -1.751199 0.101 -0.036 0.000
C -1.626166 -0.878507 -2.799917 -0.017 0.024 0.118
C -1.824455 -1.365524 -4.080160 0.024 -0.013 -0.085
C -2.845175 -2.274334 -4.321826 0.001 -0.051 -0.021
C -3.653113 -2.701447 -3.278417 0.038 -0.098 0.016
C -3.448885 -2.219644 -1.993516 -0.030 -0.053 -0.003
C -3.212609 2.163262 -0.528458 -0.110 -0.093 -0.107
O -1.870796 2.418227 -0.451563 -0.043 0.026 0.013
C -1.412278 3.692841 -0.608389 0.102 0.099 0.004
C -0.023727 3.821681 -0.611403 -0.141 -0.299 -0.167
C 0.532098 5.092138 -0.664885 0.000 -0.015 -0.059
C -0.286701 6.204647 -0.762243 0.032 0.078 -0.004
C -1.662608 6.044440 -0.807533 0.037 0.014 0.037
C -2.257830 4.790147 -0.730370 -0.103 -0.076 -0.002
P 1.030544 2.315592 -0.507414 0.430 0.245 0.266
C 1.987856 2.870914 0.963247 0.053 -0.068 -0.010
- Point-of-care equipment throughout
- Two 4-bed bays, which can be used for male and female participants
- Seven clinic rooms that can be used for a range of study activities, including consultations, examinations and assessments
- Human Performance Laboratory
- Minor Procedures Suite
- MRI Scanner

Manchester CRF at the Royal Manchester Children’s Hospital (RMCH)
Manchester CRF at RMCH was the first specialist children’s facility in the North West and is one of only a handful across the UK.
With access to all of the hospital’s state-of-the-art equipment and resources, children can take part in research studies alongside on-going treatment.
Facilities include:
- Inpatient, day case and outpatient areas
- Teen-zone, playroom, parents room, treatment room – all co-designed with patients and their families and carers
- Audiology suite – supporting studies including testing for hearing loss in babies and bone conduction hearing devices in children

Manchester CRF at Wythenshawe Hospital
Manchester CRF at Wythenshawe Hospital established its dedicated experimental medicine facilities in 2012 and specialises in early phase research in clinical areas including respiratory medicine (asthma, chromic cough, COPD), cystic fibrosis, and breast cancer.
Facilities include:
- Adult and paediatric pulmonary physiology laboratories, for lung function assessment, spirometry, multiple breath washout, cardiopulmonary exercise testing.
- Challenge chambers for inhalational airway challenges including methacholine, histamine, allergen.
- Specialised technologies include advanced cardiac and lung imaging (ventilation MRI), ambulatory cough monitoring, exhaled breath volatiles and measurement of ventilation heterogeneity.